Sunday, October 12, 2014

! MgSi2, relaxed, DFT PBE; values from VASP
&SYSTEM
  ibrav = 0, nat = 12, ntyp = 2
/
ATOMIC_SPECIES
Mg 24.30 Mg.upf
Si 28.09 Si.upf
CELL_PARAMETERS angstrom
3.774 0.000 0.000
-1.789 5.271 0.000
-0.247 -2.881 11.363
ATOMIC_POSITIONS crystal
Mg 0.000 0.000 0.000
Mg 0.005 0.115 0.449
Mg 0.789 0.492 0.268
Mg 0.824 0.454 0.788
Si 0.107 0.092 0.219
Si 0.253 0.693 0.530
Si 0.334 0.996 0.660
Si 0.339 0.611 0.947
Si 0.443 0.849 0.314
Si 0.617 0.418 0.534
Si 0.675 0.392 0.052
Si 0.750 0.957 0.788
! E above lowest polymorph in eV per formula unit: 1.57

ScH11I2O6 | PBE | relaxed Values from VASP.

```
&SYSTEM
  ibrav = 0, nat = 40, ntyp = 4
/
ATOMIC_SPECIES
Sc 44.96 Sc.upf
H 1.01 H.upf
I 126.90 I.upf
O 16.00 O.upf
CELL_PARAMETERS angstrom
8.318 0.000 0.000
1.672 8.410 0.000
3.597 1.738 8.146
ATOMIC_POSITIONS crystal
Sc 0.046 0.155 0.332
Sc 0.954 0.845 0.668
H 0.102 0.826 0.341
H 0.120 0.840 0.894
H 0.126 0.018 0.782
H 0.161 0.445 0.079
H 0.169 0.310 0.986
H 0.212 0.306 0.475
H 0.215 0.556 0.669
H 0.221 0.428 0.304
H 0.315 0.700 0.535
H 0.344 0.038 0.093
H 0.401 0.990 0.244
H 0.599 0.010 0.756
H 0.656 0.962 0.907
H 0.685 0.300 0.465
H 0.779 0.572 0.696
H 0.785 0.444 0.331
H 0.788 0.694 0.525
H 0.831 0.690 0.014
H 0.839 0.555 0.921
H 0.874 0.982 0.218
H 0.880 0.160 0.106
H 0.898 0.174 0.659
I 0.253 0.688 0.099
I 0.352 0.237 0.695
I 0.648 0.763 0.305
I 0.747 0.312 0.901
O 0.049 0.903 0.416
O 0.069 0.917 0.817
O 0.111 0.343 0.093
O 0.173 0.327 0.381
O 0.200 0.672 0.619
O 0.331 0.075 0.191
O 0.669 0.925 0.809
O 0.800 0.328 0.381
O 0.827 0.673 0.619
O 0.889 0.657 0.907
O 0.931 0.083 0.183
O 0.951 0.097 0.584
```

! K2LiH2Se2O6, relaxed, DFT PBE; values from VASP
&SYSTEM
  ibrav = 0, nat = 13, ntyp = 5
/
ATOMIC_SPECIES
K 39.10 K.upf
Li 6.94 Li.upf
H 1.01 H.upf
Se 78.96 Se.upf
O 16.00 O.upf
CELL_PARAMETERS angstrom
5.347 0.000 0.000
-1.315 5.931 0.000
-2.364 -2.472 7.417
ATOMIC_POSITIONS crystal
K 0.000 0.000 0.000
K 0.233 0.786 0.667
Li 0.565 0.591 0.462
H 0.261 0.309 0.736
H 0.712 0.467 0.730
Se 0.526 0.542 0.051
Se 0.787 0.137 0.410
O 0.126 0.305 0.521
O 0.319 0.272 0.854
O 0.386 0.754 0.006
O 0.408 0.444 0.201
O 0.721 0.938 0.521
O 0.726 0.618 0.706
! E above lowest polymorph in eV per formula unit: 0.35

BaCO3 | PBE | relaxed Values from VASP.

```
&SYSTEM
  ibrav = 0, nat = 10, ntyp = 3
/
ATOMIC_SPECIES
Ba 137.33 Ba.upf
C 12.01 C.upf
O 16.00 O.upf
CELL_PARAMETERS angstrom
5.513 0.000 0.000
-2.756 4.774 0.000
0.000 0.000 5.691
ATOMIC_POSITIONS crystal
Ba 0.333 0.667 0.250
Ba 0.667 0.333 0.750
C 0.000 0.000 0.250
C 0.000 0.000 0.750
O 0.137 0.274 0.750
O 0.137 0.863 0.750
O 0.274 0.137 0.250
O 0.726 0.863 0.750
O 0.863 0.137 0.250
O 0.863 0.726 0.250
```

Nd2O3F3 | PBE | relaxed Values from VASP.

```
&SYSTEM
  ibrav = 0, nat = 8, ntyp = 3
/
ATOMIC_SPECIES
Nd 144.24 Nd.upf
O 16.00 O.upf
F 19.00 F.upf
CELL_PARAMETERS angstrom
5.981 0.000 0.000
-2.990 5.179 0.000
0.000 0.000 4.084
ATOMIC_POSITIONS crystal
Nd 0.000 0.000 0.000
Nd 0.333 0.667 0.500

Question Commander - Thiago Rossi

Book: Anthem
Rotation: 1
Student: Thiago Rossi
Role: Question Commander

While I read the initial parts of this book, many questions and thoughts came up to my mind.

Image representing an unknown future
#1: To begin with, how do these dystopian novels tell us about what people used to and still do think about the future? Why is it important to think about this?

To think about it, it is truly incredible how humanity progressed (and regressed) over the last 200 years. The advances are all around us. The light bulbs, cars, telephone, TVs, and, most importantly, internet and computers. Just to think of what is going to happen over the next 200 to come is impressive. We could make predictions from massive nuclear wars to the biggest advances of history to come. In different perspectives and points of view, we can see clearly some think it will be a complete disaster, as the world is constantly changing, or it will transform into a much better reality to live in. For instance, the movie Planet of the Apes of 1968 transmits a message that the world would end in an atomic war, spreading destruction all around the world. The way I see it, for me it is very important for people to have this vision of what could possibly happen with the world if it continues to do certain things. If you think of it, these dystopian genre is mainly created for people to express their ideas and opinions of the society they are (or were) living in because, in one way, it always criticizes many aspects of government, development, and philosophical and theoretical concepts. 
Image symbolizing equality amongst humans

Attached: calculated crystals >
┌──
[1]
Here is Er4MgNi after structural relaxation from the Materials Project. Energies are from meta-GGA r2SCAN.

a = 9.490 Å, b = 9.490 Å, c = 9.490 Å
α = 60.00°, β = 60.00°, γ = 60.00°
Element x y z (fractional)
Er 0.814 0.186 0.186
Er 0.186 0.814 0.814
Er 0.186 0.814 0.186
Er 0.438 0.438 0.062
Er 0.062 0.438 0.062
Er 0.438 0.062 0.062
Er 0.814 0.186 0.814
Er 0.186 0.186 0.814
Er 0.213 0.596 0.596
Er 0.596 0.596 0.596
Er 0.062 0.062 0.438
Er 0.596 0.213 0.596
Er 0.062 0.438 0.438
Er 0.596 0.596 0.213
Er 0.814 0.814 0.186
Er 0.438 0.062 0.438
Mg 0.829 0.829 0.829
Mg 0.829 0.829 0.513
Mg 0.513 0.829 0.829
Mg 0.829 0.513 0.829
Ni 0.392 0.825 0.392
Ni 0.825 0.392 0.392
Ni 0.392 0.392 0.392
Ni 0.392 0.392 0.825

Crystal system: cubic
Space group: F-43m, No. 216
Total moment: 0.000 μB/cell
Volume: 604.41 Å³ per cell
Calculated total energy: -25.51 eV per atom

[2]
Here is ErMgPd after structural relaxation from the Materials Project. Energies are from meta-GGA r2SCAN.

a = 7.333 Å, b = 7.333 Å, c = 4.062 Å
α = 90.00°, β = 90.00°, γ = 120.00°
Element x y z (fractional)
Er 0.588 0.000 0.500
Er 0.412 0.412 0.500
Er 0.000 0.588 0.500
Pd 0.333 0.667 0.000
Pd 0.000 0.000 0.500
Pd 0.667 0.333 0.000
Mg 0.244 0.000 0.000
Mg 0.756 0.756 0.000
Mg 0.000 0.244 0.000

Crystal system: hexagonal
Space group: P-62m, No. 189
Total moment: 0.000 μB/cell
Volume: 189.19 Å³ per cell
Calculated total energy: -21.05 eV per atom

[3]
Here is Er2MgS4 after structural relaxation from the Materials Project. Energies are from meta-GGA r2SCAN.

a = 7.809 Å, b = 7.809 Å, c = 7.809 Å
α = 60.00°, β = 60.00°, γ = 60.00°
Element x y z (fractional)
Er 0.125 0.625 0.125
Er 0.125 0.125 0.625
Er 0.125 0.125 0.125
Er 0.625 0.125 0.125
S 0.370 0.370 0.370
S 0.880 0.880 0.359
S 0.359 0.880 0.880
S 0.880 0.880 0.880
S 0.891 0.370 0.370
S 0.370 0.891 0.370
S 0.880 0.359 0.880
S 0.370 0.370 0.891
Mg 0.750 0.750 0.750
Mg 0.500 0.500 0.500

Crystal system: cubic
Space group: Fd-3m, No. 227
Total moment: 0.000 μB/cell
Volume: 336.70 Å³ per cell
Calculated total energy: -17.05 eV per atom

[4]
Here is ErMg2Sc after structural relaxation from the Materials Project. Energies are from meta-GGA r2SCAN.

a = 5.200 Å, b = 5.200 Å, c = 5.200 Å
α = 60.00°, β = 60.00°, γ = 60.00°
Element x y z (fractional)
Mg 0.750 0.750 0.750
Mg 0.250 0.250 0.250
Sc 0.000 0.000 0.000
Er 0.500 0.500 0.500

Crystal system: cubic
Space group: Fm-3m, No. 225
Total moment: 0.000 μB/cell
Volume: 99.43 Å³ per cell
Calculated total energy: -13.46 eV per atom

[5]
Here is Er2MgSi2 after structural relaxation from the Materials Project. Energies are from meta-GGA r2SCAN.

a = 7.098 Å, b = 7.098 Å, c = 4.160 Å
α = 90.00°, β = 90.00°, γ = 90.00°
Element x y z (fractional)
Er 0.678 0.178 0.500
Er 0.178 0.322 0.500
Er 0.822 0.678 0.500
Er 0.322 0.822 0.500
Mg 0.500 0.500 0.000
Mg 0.000 0.000 0.000
Si 0.118 0.618 0.000
Si 0.618 0.882 0.000
Si 0.882 0.382 0.000
Si 0.382 0.118 0.000

Crystal system: tetragonal
Space group: P4/mbm, No. 127
└──

#2: What aspects do you think this novel criticize and what main ideas are emerging from the reading?

To start, I would like to say that this read really reminded me of the idea of communism simply because it says that everyone has to be the same. In the communist ideal, everyone would have to behave and act the same for it to work, just like here. In this case, you cannot have a voice and be different from everyone else because the main idea here is for all to work only as one, which actually is against the human nature. You see, I have my opinion, you have yours. I think in one way, you think in another. Don't you realize? We are all different. In this reality, you cannot express your will or anything that relates to your personal affairs. The only thing you have to do is to follow what everyone else does, making everyone be the same. Last year, when I was reading a poem in Portuguese class, I came across one that was quite interesting, in my eyes. Its name was "Argument" and the only thing written in the context was: "But if all do it." This transmits the message that if everyone does the exact same thing and have no voice for a change, we cannot progress as a society. If no one comes up with a new idea, nothing new is presented, making us stuck in the same place, without any progression. In a communism, there is also no expression of ideas; otherwise, the person would be brutally tortured, jailed, or killed, as we can see by the cases in Cuba, North Korea, and, in the past, the Soviet Union and China. As I was saying before, having a sense of property is natural of any animal. For example, when an acorn falls from a tree, the squirrels gather them as if they were theirs. When someone enters the lion's territory, they will try and will defend their property. You can see powerful nations that tried to execute this "philosophy", which, in the end, failed horribly. This whole governmental-conceptual system for me, both as in the novel and the idealism of Karl Marx, is a complete utopia and cannot be achieved in a real-life situation in my point of view, as it could possibly create an even worse condition. 

#3: What do you think happened with the world we see today for it to end up the it is in the novel? What is this "rebirth" time that Equality mentions so much?

As I was talking earlier about how the future is unpredictable, this gave me an idea to come and actually predict what happened with the reality we know for it to be so drastically changed in the book. In my opinion, this "rebirth" time period so mentioned in the beginning is when this world-changing revolution happened, of which shaped the fate of humanity. Probably, this was made in a short period of time, as we could see Equality mentioning that the elders sometimes talk about this other type of place they used to live in, which would be this time we are living in. Most likely, the world would have changed so much over this short period of time because something has truly gone wrong in the world. Ideas were out of control, technology was out of control, and chaos spread throughout the lands. Therefore, in order to contain this and prevent further disgrace, people decided to redo the current existence and restrict anyone from expressing their beliefs or ideas. Instead, the people were to work as one, without change, as it could lead to the problem starting over again. Nevertheless, in spite all of the change, since it is not natural to be equal for humans, our main character, Equality 7-2521, is most likely the one to express and bring new ideas to this monotone world and create plenty of disorder, as this is a dystopian novel. In general, it still remains quite mysterious why such a reality was created, but, as it stands right now, I think something really extreme must have happened in the past to create such a change.


  1. Thiago,

    As I have read over your post, all three questions were actually very thoughtful and were able to provoke and share a deepening idea in your post, which made it very insightful to the reading. Out of the three questions, I decided to give my opinion on question number 3:
    What do you think happened with the world we see today for it to end up the it is in the novel? What is this "rebirth" time that Equality mentions so much?

    As stated in the book, there were the Unmentionable Times, where people were not allowed to talk, speak, or discuss of it in any form whether it is through simple chat or even writing. In the beginning, we are introduced to the character Equality 7-2521, whom is the narrator of the story, as if it were his journal.and he writes everything that seems important to him in this booklet. Equality 7-2521 already begins to state that he isn't supposed to be writing this, and it is against the law. Plus, he had a candle that was stolen from someone else, meaning that if he were caught with this, he would be imprisoned for quite a long time. Not only that, but as we see, Equality 7-2521 mentions that he feels much different from his brothers and sisters, which isn't supposed to be the case and because of that thinking, saying it aloud would get him into deep trouble. Relating back to the question, I agree with you that something in the past happened that completely went out of control of the humans, and possibly people had to come back together in order to recreate a society where everybody is equal, and a community in which there are many restrictions that we don't really see today in the modern world. There are many ways that the society was created. Before, maybe their was a disease, or war that caused this to happen. Connecting to another book, the City of Ember is an example of a book, that there was a disaster, that lead people to be living underground. i think that people are giving time for the normal world to recover before people will have the chance to be different, and not have to follow rules, like being the same as everybody else. Overall, i think that your post was very thoughtful, and showed a deeper comprehension of the reading.

  2. I like the post, it was good, I agree with everything you said, it was very creative and helped me think further about the book.
